Assignment >
Next, retype the whole of the data below exactly.
Entries >
~~~
DFT (the ωB97M-V functional and the def2-TZVPD basis) results for a structure of composition C3H10NO2.

Values from the calculation:
- Max |F|: 0.0760 Eh/bohr
- Total energy: -325.3446 Eh
- Total charge: -2
- Highest occupied orbital energy (spin up / spin down): 4.40 / -0.81 eV
- Spin multiplicity: 2
- Frontier orbital gap (spin up / spin down): 2.32 / 7.53 eV
- Energy relative to the best compared isomer or geometry (same formula, charge and spin): 107.6 kJ/mol

Geometry as XYZ:
```
16
Properties=species:S:1:pos:R:3:mulliken_spin:R:1
O -0.600 3.257 -0.695 0.011
O 0.325 1.286 0.451 0.023
N 0.706 -1.631 1.292 0.511
C -0.546 -2.353 -0.772 4.225
C -0.155 -1.151 0.227 -1.439
C 0.412 0.179 -0.364 0.162
H 1.697 -1.396 1.127 -0.113
H -1.663 -2.533 -0.975 -0.469
H -1.269 3.754 -0.356 -0.001
H -0.201 -3.377 -0.555 -0.998
H -0.267 2.327 -0.044 -0.002
H 0.505 -1.160 2.199 -0.050
H -0.153 -2.230 -1.704 -0.468
H -1.217 -0.847 0.592 -0.242
~~~
Worked solution >
DFT (the ωB97M-V functional and the def2-TZVPD basis) results for a structure of composition C3H10NO2.

Values from the calculation:
- Max |F|: 0.0760 Eh/bohr
- Total energy: -325.3446 Eh
- Total charge: -2
- Highest occupied orbital energy (spin up / spin down): 4.40 / -0.81 eV
- Spin multiplicity: 2
- Frontier orbital gap (spin up / spin down): 2.32 / 7.53 eV
- Energy relative to the best compared isomer or geometry (same formula, charge and spin): 107.6 kJ/mol

Geometry as XYZ:
```
16
Properties=species:S:1:pos:R:3:mulliken_spin:R:1
O -0.600 3.257 -0.695 0.011
O 0.325 1.286 0.451 0.023
N 0.706 -1.631 1.292 0.511
C -0.546 -2.353 -0.772 4.225
C -0.155 -1.151 0.227 -1.439
C 0.412 0.179 -0.364 0.162
H 1.697 -1.396 1.127 -0.113
H -1.663 -2.533 -0.975 -0.469
H -1.269 3.754 -0.356 -0.001
H -0.201 -3.377 -0.555 -0.998
H -0.267 2.327 -0.044 -0.002
H 0.505 -1.160 2.199 -0.050
H -0.153 -2.230 -1.704 -0.468
H -1.217 -0.847 0.592 -0.242